Monday, January 14, 2008


Yesterday the kids and I were sitting in the little section of our church where they have tables and chairs set up to sit down and eat the free donuts and bagels that they have out every week. This has become our Sunday morning ritual. Daddy goes on to the nursery where we work for the first hour of church, and I take the kids to get donuts. Well we were sitting there and at the table next to us, I heard the people, an elderly woman and man, not married or anything, just friends, discussing that she was a twin. She said she was a fraternal twin and that her twin was a brother. He asked about the twin more and she said that he had passed away 16 years ago. She said when he died, she lost her best friend. She said she had no children and I couldn't hear her say whether or not she had ever been married, but if so her husband was gone as well. She said she was alone as far as family now. It took maybe two minutes for her to tell this story and as I sat there, I found myself tearing up thinking of her and how she must truly be lonely.

Two weeks ago, I was in the nursery working and usually I'm on the side of the crawlers, but this time they needed me in the infants and I was there holding the tiniest little baby and the only other person in there was this little old lady who comes in every week, usually as a group of old ladies, who like to sit in there and hold the tiny infants and chat. Well her friends weren't in there for some reason, so it was just us. She started telling me a similar story of how she does have family but they live far away and her husband has passed on and she was telling me how the other day, she got up around 6:30, went out to the chair in the living room and fell asleep, not waking until after 9. She said when there's no one there, you don't have much to get up for. That just hit me so hard. I really need to appreciate all the different people and things, I do have that are reasons for me to get up. Both of these ladies, probably enjoyed happy lives, but now find themselves living it alone. I really need to remember how grateful I should be to have kids climbing all over me, a hungry husband, a crazy doggie, chores to do, school work to do, other family and friend obligations to tend to. I really have a lot and usually I complain about having so much, like in the last post, and I really need to just sit back and appreciate being needed and having so much to do. Someday I may be like them and just wishing for something to do or someone to be needed by.

I hope someday my kids will think of each other as true friends like the first lady. They don't have to be best friends, but I so want them to be a part of each other's lives and be supportive to each other.

Well I've learned so much from the ladies at church lately, usually I only learn stuff during the sermon. I guess that's why it's so great to have a church family to learn from. Their life experiences are examples to us, whether good or bad. It's great to have that to look up to.


Char said...

The stories are sad! I'm glad you heard them though and that it is making you appreciate what and who you have more. It is nice to have those reminders every so often. Especially when we are feeling overwhelmed with everything we do have! :)
Have a great day!

Crystal said...

Great post!!!! Soooo true! I always try to remind myself that even though it may be overwhelming at times, there will be a day that I will long for the days that I am living now! Very good thing to remember! Oh I feel so bad for those little ladies......I had an impulse to want to call them when you were telling the story!!!

SamandSawyersMom said...

If I had their names, i would SO develop a relationship with them. Oh now I want to find them. i know that was not the point of the post but i am very co-dependent!

Good reminder! I guess we really do need to be thankfulfor our crazy lives.

Good post!

Carrie said...

I enjoyed reading this so much. Its so true. You don't realize what you've got until its gone...most the time. Its really eye opening to think about. It doesn't matter how much of this or that we have, all that matters is the people in our lives and their love.

Lura said...

_Next to the page, the page also holds data records_
=====
Record 1
This entry pairs a crystal structure of Nd2NiB10 with its calculated powder XRD pattern. Radiation: a wavelength of 1.5418 Å. Structure: a GGA-PBE-relaxed structure.

Crystal structure
```
Nd2NiB10
1.0
5.6372 0.0000 0.0000
0.0000 11.2344 0.0000
0.0000 0.0000 4.1956
Nd Ni B
4 2 20
direct
0.1910 0.1368 0.0000
0.3090 0.6368 0.0000
0.6910 0.3632 0.0000
0.8090 0.8632 0.0000
0.0000 0.5000 0.5000
0.5000 0.0000 0.5000
0.0356 0.3125 0.5000
0.1256 0.9586 0.5000
0.1552 0.8024 0.5000
0.2035 0.3856 0.1998
0.2035 0.3856 0.8002
0.2965 0.8856 0.1998
0.2965 0.8856 0.8002
0.3448 0.3024 0.5000
0.3744 0.4586 0.5000
0.4644 0.8125 0.5000
0.5356 0.1875 0.5000
0.6256 0.5414 0.5000
0.6552 0.6976 0.5000
0.7035 0.1144 0.1998
0.7035 0.1144 0.8002
0.7965 0.6144 0.1998
0.7965 0.6144 0.8002
0.8448 0.1976 0.5000
0.8744 0.0414 0.5000
0.9644 0.6875 0.5000
```

Principal peaks in the range 10° ≤ 2θ ≤ 90°, most intense first:
- hkl 1 2 1, 30.97°, I = 100
- hkl 0 4 1, 38.54°, I = 81
- hkl 1 2 0, 22.34°, I = 67
- hkl 1 2 2, 49.11°, I = 38
- hkl 1 1 1, 27.67°, I = 27
- hkl 0 0 1, 21.18°, I = 27
- hkl 2 4 0, 45.60°, I = 19
- hkl 0 0 2, 43.12°, I = 19
- hkl 2 1 1, 39.34°, I = 18
- hkl 0 4 0, 31.86°, I = 16

=====

Record 2
This entry pairs a crystal structure of NdBO3 with its calculated powder XRD pattern. Radiation: a wavelength of 1.5418 Å. Structure: a GGA-PBE-relaxed structure.

Crystal structure
```
NdBO3
1.0
5.8036 0.0000 0.0000
0.0000 5.0836 0.0000
0.0000 0.0000 8.1423
Nd B O
4 4 12
direct
0.2423 0.2500 0.0852
0.2577 0.7500 0.5852
0.7423 0.2500 0.4148
0.7577 0.7500 0.9148
0.0804 0.2500 0.7377
0.4196 0.7500 0.2377
0.5804 0.2500 0.7623
0.9196 0.7500 0.2623
0.0852 0.0154 0.8237
0.0852 0.4846 0.8237
0.0952 0.2500 0.5692
0.4048 0.7500 0.0692
0.4148 0.5154 0.3237
0.4148 0.9846 0.3237
0.5852 0.0154 0.6763
0.5852 0.4846 0.6763
0.5952 0.2500 0.9308
0.9048 0.7500 0.4308
0.9148 0.5154 0.1763
0.9148 0.9846 0.1763
```

Principal peaks in the range 10° ≤ 2θ ≤ 90°, most intense first:
- hkl 1 1 1, 25.74°, I = 100
- hkl 1 0 2, 26.75°, I = 49
- hkl 1 2 2, 44.84°, I = 36
- hkl 2 1 3, 49.35°, I = 27
- hkl 0 1 3, 37.57°, I = 26
- hkl 3 1 1, 51.79°, I = 21
- hkl 2 1 1, 37.35°, I = 19
- hkl 0 1 1, 20.60°, I = 18
- hkl 2 0 0, 30.81°, I = 16
- hkl 2 2 0, 47.56°, I = 16

=====

Record 3
This entry pairs a crystal structure of NdBO3 with its calculated powder XRD pattern. Radiation: a wavelength of 1.5418 Å. Structure: a GGA-PBE-relaxed structure.

Crystal structure
```
NdBO3
1.0
6.3936 0.0000 0.0000
-1.9094 6.3146 0.0000
-1.7817 -0.9672 6.2846
Nd B O
4 4 12
direct
0.0470 0.2641 0.3315
0.4421 0.8099 0.2212
0.5579 0.1901 0.7788
0.9530 0.7359 0.6685
0.0162 0.2412 0.7790
0.4807 0.2716 0.2664
0.5193 0.7284 0.7336
0.9838 0.7588 0.2210
0.0453 0.7765 0.0384
0.0893 0.6447 0.3664
0.1496 0.1343 0.7131
0.3753 0.1289 0.3866
0.3831 0.7977 0.8358
0.4255 0.4557 0.2495
0.5745 0.5443 0.7505
0.6169 0.2023 0.1642
0.6247 0.8711 0.6134
0.8504 0.8657 0.2869
0.9107 0.3553 0.6336
0.9547 0.2235 0.9616
```
=====

I see this a lot in the nursing home. Good for you for noticing and empathizing with her. Now what are you going to do about it? :) WWJD? Maybe you and the kids could invite her over for a Valentine tea? Or send her a "Thinking of you" card w/ pictures drawn by the kids to brighten her day.